[Erp5-dev] Misfeatures
Vera Kurpas
2008-08-11 11:21:26 UTC
Dear developers,

I'm not sure I had to write this letter, as I'm not a programmer, but
the Community member told me i should.

┌──
Entry 1:
## CaNd2Dy (GGA-PBE)

Data for a geometry-optimized CaNd2Dy structure.

Cell: 3.6638 3.6638 12.3843 Å, 81.49 81.49 60.00°
Closest atoms and distances in Å follow each position.
Fractional positions:
Nd (0.7453, 0.7453, 0.7642)  3 Dy 3.57, 6 Nd 3.66, 3 Ca 3.86
Nd (0.2547, 0.2547, 0.2358)  3 Dy 3.57, 6 Nd 3.66, 3 Ca 3.86
Dy (0.0000, 0.0000, 0.0000)  6 Nd 3.57, 6 Dy 3.66
Ca (0.5000, 0.5000, 0.5000)  6 Ca 3.66, 6 Nd 3.86

Formation enthalpy at 0 K, eV/atom: 0.034
Uncorrected energy, eV/atom: -4.00
Calculated volume, Å³/cell: 142
M_tot, μB per cell: 0.000


Entry 2:
## CaNd3Dy (GGA-PBE)

Data for a geometry-optimized CaNd3Dy structure.

Cell: 5.6386 7.2768 14.1895 Å, 140.37 101.46 90.00°
Closest atoms and distances in Å follow each position.
Fractional positions:
Nd (0.9980, 0.7537, 0.9960)  7 Nd 3.43-3.81, 1 Dy 3.47
Dy (0.1996, 0.3516, 0.3993)  2 Dy 3.31, 5 Nd 3.47-3.69
Ca (0.3912, 0.1730, 0.7825)  9 Nd 3.61-3.89, 3 Dy 3.71-3.75, 1 Ca 3.74
Nd (0.0020, 0.2463, 0.0040)  7 Nd 3.43-3.81, 1 Dy 3.47
Nd (0.2015, 0.8559, 0.4031)  3 Nd 3.28-3.43, 2 Dy 3.63-3.65
Nd (0.7985, 0.1441, 0.5969)  3 Nd 3.28-3.43, 2 Dy 3.63-3.65
Dy (0.8004, 0.6484, 0.6007)  2 Dy 3.31, 5 Nd 3.47-3.69
Nd (0.3922, 0.6795, 0.7845)  2 Ca 3.61-3.66, 3 Dy 3.69-3.78, 8 Nd 3.71-3.81
Ca (0.6088, 0.8270, 0.2175)  9 Nd 3.61-3.89, 3 Dy 3.71-3.75, 1 Ca 3.74
Nd (0.6078, 0.3205, 0.2155)  2 Ca 3.61-3.66, 3 Dy 3.69-3.78, 8 Nd 3.71-3.81

Formation enthalpy at 0 K, eV/atom: 0.094
Uncorrected energy, eV/atom: -4.09
Calculated volume, Å³/cell: 353
M_tot, μB per cell: 0.000


Entry 3:
## Ca2Nd4Dy (GGA-PBE)

Data for a geometry-optimized Ca2Nd4Dy structure.

Cell: 5.7749 5.7749 9.8870 Å, 106.98 106.98 90.00°
Closest atoms and distances in Å follow each position.
Fractional positions:
Dy (0.0000, 0.0000, 0.0000)  6 Nd 2.89-3.10
Ca (0.3733, 0.3733, 0.7466)  5 Nd 3.62-3.68
Ca (0.6267, 0.6267, 0.2534)  5 Nd 3.62-3.68
Nd (0.5000, 0.0000, 0.0000)  2 Dy 2.89
Nd (0.1724, 0.1724, 0.3447)  1 Dy 3.10
Nd (0.8276, 0.8276, 0.6553)  1 Dy 3.10
Nd (0.0000, 0.5000, 0.0000)  2 Dy 2.89

Formation enthalpy at 0 K, eV/atom: 0.582
Uncorrected energy, eV/atom: -3.37
Calculated volume, Å³/cell: 300
M_tot, μB per cell: 0.625


Entry 4:
## CaNd4Dy4 (GGA-PBE)

Data for a geometry-optimized CaNd4Dy4 structure.

Cell: 10.7074 9.1447 12.0385 Å, 58.58 106.93 141.35°
Closest atoms and distances in Å follow each position.
Fractional positions:
Nd (0.9042, 0.2007, 0.5513)  7 Dy 3.43-3.60, 1 Ca 3.51, 2 Nd 3.55-3.56
Ca (0.5029, 0.5005, 0.2430)  6 Dy 3.45-3.74, 5 Nd 3.51-3.80
Dy (0.4394, 0.8209, 0.4315)  5 Dy 3.41-3.64, 6 Nd 3.47-3.74, 1 Ca 3.71
Ca (0.4971, 0.4995, 0.7570)  6 Dy 3.45-3.74, 5 Nd 3.51-3.80
Dy (0.0507, 0.1506, 0.0902)  3 Dy 3.42-3.70, 3 Nd 3.58-3.67, 2 Ca 3.68-3.72
Dy (0.8357, 0.5059, 0.2509)  4 Dy 3.41-3.65, 6 Nd 3.43-3.75, 1 Ca 3.50
Nd (0.7220, 0.1625, 0.1015)  5 Nd 3.48-3.85, 5 Dy 3.64-3.87, 1 Ca 3.80
Dy (0.5606, 0.1791, 0.5685)  5 Dy 3.41-3.64, 6 Nd 3.47-3.74, 1 Ca 3.71
└──

We use erp5_trade revision r22911. Since the last update (from r22514)
there some changes that look like bugs:
1. After creation a new Purchase Order, confirming it and jumping to
related Purchase Packing List there aren't any Purchase Packing Lines in
the list
(url: /erp5/purchase_packing_list_module/60/PurchaseOrder_view?portal_status_message=Purchase Packing List related to Purchase Order %3A PO-97.) After clicking on any tab of this Packing List and then back on View tab the Purchase Packing Lines appear.
2. There are 2 "Related Purchase Order" statements in Jump box (they are
both working).
3. Packing list workflow does not work correctly. After changing the PPL
state to Shipped (by Action "Ship") no Related Purchase Invoice Appear.
We never change Purchase Invoice Builder so it's standard. Before the
r22911 Purchase Packing Invoice created automatically from PPL.

And the last one. After changing the resource quantity in Invoice Line
of Sale Invoice (generated automatically) and then Acting "Adopt
prevision" the Resource Quantity is zeroed, new Accounting Transaction
Line is created with Credit which equals the right product quantity. I
can't say when the strange behaviour of Sale Invoice appeared.

If you need more info or don't need such reports please write to me

truly yours,
Vera Kurpas
2008-08-13 11:14:59 UTC
Hi Vera, first thank you for your report, we are always happy to get
information from our users.
Post by Vera Kurpas
Dear developers,
I'm not sure I had to write this letter, as I'm not a programmer, but
the Community member told me i should.
We use erp5_trade revision r22911. Since the last update (from r22514)
1. After creation a new Purchase Order, confirming it and jumping to
related Purchase Packing List there aren't any Purchase Packing Lines in
the list
(url: /erp5/purchase_packing_list_module/60/PurchaseOrder_view?portal_status_message=Purchase Packing List related to Purchase Order %3A PO-97.) After clicking on any tab of this Packing List and then back on View tab the Purchase Packing Lines appear.
This bug is fixed in the last version of erp5_core, please update
erp5_core business template and you should not have this problem anymore.
Post by Vera Kurpas
2. There are 2 "Related Purchase Order" statements in Jump box (they are
both working).
3. Packing list workflow does not work correctly. After changing the PPL
state to Shipped (by Action "Ship") no Related Purchase Invoice Appear.
We never change Purchase Invoice Builder so it's standard. Before the
r22911 Purchase Packing Invoice created automatically from PPL.
And the last one. After changing the resource quantity in Invoice Line
of Sale Invoice (generated automatically) and then Acting "Adopt
prevision" the Resource Quantity is zeroed, new Accounting Transaction
Line is created with Credit which equals the right product quantity. I
can't say when the strange behaviour of Sale Invoice appeared.
For this two bugs i have personally no information, but we have
registered them, and be sure
that they will be fixed asap.
Post by Vera Kurpas
If you need more info or don't need such reports please write to me
We are always happy to receive any type of report, in the future don't
hesitate to report
any problem that you would find.
Post by Vera Kurpas
truly yours,
Vera Kurpas
Erp5-dev mailing list
Erp5-dev at erp5.org
Vincent D.
